Source >
~~~
ORCA calculation (the ωB97M-V functional and the def2-TZVPD basis) on 2 unconnected molecules or ions with the total composition C2H5NO4 at a distorted geometry.

```
12
Properties=species:S:1:pos:R:3:nbo_charge:R:1
O 1.037 2.146 -1.964 -0.547
C 0.972 1.052 -1.487 0.532
N 0.198 0.676 -0.392 -0.725
C -0.397 1.539 0.662 0.927
O -0.683 2.735 0.119 -0.719
O -0.658 1.191 1.733 -0.526
H 1.585 0.233 -1.971 0.124
H 0.150 -0.343 -0.090 0.420
H -1.500 2.755 -0.413 0.513
H -0.375 -4.804 1.120 0.472
H -0.153 -3.410 1.797 0.469
O -0.178 -3.770 0.885 -0.940
```

Properties
- ΔE to the lowest compared entry with this formula, charge and spin: 49.5 kcal/mol
- Net charge: 0
- Orbital gap: 10.672 eV
- SMILES string: O=CNC(=O)O.O
- E_tot: -434.91519 Eh
- Largest force on an atom: 0.10256 hartree/bohr
- Multiplicity: 1
- E_LUMO: 0.4 eV

---

ORCA calculation (the ωB97M-V functional and the def2-TZVPD basis) on 2 unconnected molecules or ions with the total composition C4H5Cl4N2 at a distorted geometry.

```
15
Properties=species:S:1:pos:R:3:nbo_charge:R:1
Cl -4.197 0.133 1.312 0.099
C -2.569 -0.609 0.832 0.137
C -2.207 -2.205 0.735 -0.057
N -0.737 -2.129 0.343 -0.523
C -0.263 -0.697 0.225 0.282
N -1.370 0.306 0.512 -0.546
H -2.888 -3.140 0.916 0.318
H -0.168 -2.998 0.213 0.475
H 0.839 -0.414 -0.047 0.252
H -1.325 1.348 0.517 0.493
C 3.087 2.063 -1.080 -0.272
Cl 2.445 3.394 -0.104 0.042
Cl 2.170 0.576 -0.786 -0.010
Cl 3.056 2.482 -2.802 0.061
H 4.126 1.891 -0.787 0.250
```

Properties
- Net charge: +1
- Orbital gap: 8.889 eV
- E_tot: -2105.26411 Eh
- Largest force on an atom: 0.16337 hartree/bohr
- Multiplicity: 1
- E_LUMO: -4.5 eV

---

ORCA calculation (the ωB97M-V functional and the def2-TZVPD basis) on a molecular structure, C28H29BN6OSiSr at a distorted geometry.

```
67
Properties=species:S:1:pos:R:3:nbo_charge:R:1
C 2.517 -0.284 -2.089 -0.062
N 1.282 -0.304 -2.644 -0.398
N 1.445 0.136 -3.947 -0.339
C 2.756 0.269 -4.233 0.011
C 3.475 0.025 -3.072 -0.340
B 0.305 0.369 -4.960 0.558
N -0.679 -0.804 -4.670 -0.328
N -1.012 -1.313 -3.427 -0.418
C -1.836 -2.369 -3.650 -0.084
C -1.934 -2.601 -5.028 -0.330
C -1.197 -1.594 -5.636 0.015
Sr -0.219 -1.798 -0.960 1.879
N -0.288 1.830 -4.934 -0.303
N -0.724 2.335 -3.731 -0.051
C -1.247 3.542 -3.972 -0.091
C -1.100 3.878 -5.346 -0.054
C -0.474 2.761 -5.918 0.156
H -1.711 4.138 -3.194 0.253
H -0.157 2.579 -6.938 0.262
H -1.397 4.789 -5.829 0.262
H 0.709 0.268 -6.086 -0.033
H -1.005 -1.372 -6.677 0.238
H 3.055 0.562 -5.238 0.238
H -2.466 -3.392 -5.519 0.249
H 4.544 0.084 -2.950 0.245
H -2.352 -2.886 -2.847 0.201
H 2.643 -0.455 -1.023 0.196
H -2.557 -1.099 -1.292 0.227
C -2.673 -1.563 -0.290 -0.906
H -3.706 -1.920 -0.227 0.276
H -2.065 -2.490 -0.141 0.136
H -2.532 -0.831 0.514 0.282
O 0.017 -0.465 0.828 -1.387
Si 0.206 -0.114 2.373 1.905
C 1.647 -1.118 2.955 -0.254
C 1.484 -2.055 3.976 -0.185
C 2.499 -2.987 4.234 -0.164
C 3.669 -2.980 3.462 0.014
C 3.858 -1.994 2.485 -0.233
C 2.843 -1.072 2.227 -0.089
C 0.555 1.671 2.750 -0.451
C -0.433 2.621 2.455 -0.222
C -0.190 3.990 2.621 -0.194
C 1.058 4.426 3.083 -0.185
C 2.027 3.485 3.455 -0.205
C 1.767 2.112 3.305 -0.222
C -1.294 -0.624 3.356 -0.563
C -1.807 -1.910 3.132 -0.227
C -3.060 -2.278 3.628 -0.207
C -3.781 -1.379 4.425 -0.190
C -3.221 -0.139 4.762 -0.220
C -1.975 0.236 4.228 -0.115
H 0.557 -2.072 4.559 0.263
H 2.347 -3.739 5.017 0.255
H 4.416 -3.761 3.612 0.247
H 4.782 -1.969 1.902 0.249
H 2.987 -0.321 1.447 0.233
H -1.413 2.300 2.098 0.216
H -0.962 4.719 2.363 0.225
H 1.288 5.494 3.135 0.232
H 3.000 3.818 3.837 0.230
H 2.522 1.388 3.627 0.197
H -1.233 -2.640 2.555 0.184
H -3.482 -3.254 3.374 0.223
H -4.781 -1.637 4.780 0.234
H -3.757 0.556 5.420 0.234
H -1.540 1.205 4.493 0.220
```

Properties
- ΔE to the lowest compared entry with this formula, charge and spin: 25.8 kcal/mol
- Net charge: +2
- Orbital gap (spin up / spin down): 3.726 / 4.337 eV
- E_tot: -1832.69780 Eh
- Largest force on an atom: 0.07901 hartree/bohr
- Multiplicity: 1
~~~

Job >
Next, filter the data further up: keep the lines with the word "distorted".

Written answer >
ORCA calculation (the ωB97M-V functional and the def2-TZVPD basis) on 2 unconnected molecules or ions with the total composition C2H5NO4 at a distorted geometry.
ORCA calculation (the ωB97M-V functional and the def2-TZVPD basis) on 2 unconnected molecules or ions with the total composition C4H5Cl4N2 at a distorted geometry.
ORCA calculation (the ωB97M-V functional and the def2-TZVPD basis) on a molecular structure, C28H29BN6OSiSr at a distorted geometry.